Reflections from the Border

USA Mexico Wall Protest

We could see each other through the fence. We could hear each other’s cheers, singing and shouted greetings. We were north and south of a border created by money, politics and blood.


“The basic problem is not political, it is a-political and human. One of the most important things to do is to keep cutting deliberately through political lines and barriers and emphasizing the fact that these are largely fabrications and that there is another dimension, a genuine reality, totally opposed to the fictions of politics: the human dimension which politics pretend to arrogate entirely to themselves.”

–      August 27, 1962 letter from Thomas Merton to Jim Forest

At the risk of dancing into semantic inanity, there is a difference between protesting and demonstrating. Protesting is the act of pointing out a wrong or injustice with the insistence that those individuals or systems responsible for the wrong or injustice correct their actions, policies or systems. Demonstrating is the act of publicly expressing a value that either needs to be strengthened or lifted up at a certain time and place.

USA Mexico Wall ProtestOn December 10th of last year, I met up with somewhere between 300 and 400 interfaith partners in the parking lot of Border Field State Park. About 15 miles to the north is San Diego. Tijuana is within sight a little south as is the Pacific Ocean. You might have seen this beach before in pictures. It’s the place where a southern border fence cuts the beach in half and stretches out into the ocean.

This is very near the places where refugees from violence and poverty further south had gathered with the hopes they could find safety in the United States. Just a couple weeks before, several of these folks – in an act of desperation – had run towards the southern side of the border with the hopes of making it to the northern side. The US responded to this desperation by shooting tear gas, pepper spray and – reportedly – rubber bullets across the border at the individuals and families trying to cross.

The American Friends Service Committee has been working in this area for years and put out an invitation for religious folks from across the US to join them on December 10th to protest against the recent action of our government and the anti-refugee prejudice being promoted by the President. We gathered to remind people that there was a direct link between decades-old US foreign policies and the ways it caused the desperation of those on the other side of the border fence. We gathered as representatives of those in our faith communities that were concerned about the same things.

<<<
No. 1
Computed, not measured: Cs2PdI6 after structural relaxation at the GGA-PBE level of DFT.

```
data_Cs2PdI6
_cell_length_a 9.230
_cell_length_b 9.230
_cell_length_c 9.332
_cell_angle_alpha 90.00
_cell_angle_beta 90.00
_cell_angle_gamma 90.00
_space_group_name_H-M_alt 'I 4/m m m'
_space_group_IT_number 139
_space_group_name_Hall '-I 4 2'
loop_
_atom_site_label
_atom_site_type_symbol
_atom_site_fract_x
_atom_site_fract_y
_atom_site_fract_z
Cs1 Cs 0.000 0.500 0.250
Pd1 Pd 0.000 0.000 0.000
I1 I 0.000 0.000 0.346
I2 I 0.204 0.204 0.000
```

E_form (kJ/mol of formula units): -901
Crystal system: tetragonal

=====

No. 2
Computed, not measured: Hf2MnRh after structural relaxation at the GGA-PBE level of DFT.

```
data_Hf2MnRh
_cell_length_a 6.425
_cell_length_b 6.425
_cell_length_c 6.425
_cell_angle_alpha 90.00
_cell_angle_beta 90.00
_cell_angle_gamma 90.00
_space_group_name_H-M_alt 'F m -3 m'
_space_group_IT_number 225
_space_group_name_Hall '-F 4 2 3'
loop_
_atom_site_label
_atom_site_type_symbol
_atom_site_fract_x
_atom_site_fract_y
_atom_site_fract_z
Hf1 Hf 0.250 0.250 0.250
Mn1 Mn 0.000 0.000 0.000
Rh1 Rh 0.000 0.000 0.500
```

E_form (kJ/mol of formula units): -212
Crystal system: cubic

=====

Among the records above, which one has the lowest E_form?
Cs2PdI6

=====

Which value of E_form does entry 1 give?
-901 kJ/mol of formula units

=====

Among the records above, which one has the highest E_form?
Hf2MnRh

=====

E_form of number 2 (Hf2MnRh)?
-212 kJ/mol of formula units


Li2Mo4O13: relaxed, GGA+U.

Total magnetization in μB per cell: 0.00
E_tot in eV/atom: -6.767
ΔH_f (0 K) in eV per atom: -2.04
Relative energy among the computed polymorphs in meV per atom: 0

a b c (Å): 8.394 8.767 11.863
angles (deg): 110.95 94.45 96.32
Positions (direct):
Li (0.104, 0.487, 0.370)
Li (0.294, 0.024, 0.011)
Li (0.308, 0.463, 0.625)
Li (0.692, 0.537, 0.375)
Li (0.706, 0.976, 0.989)
Li (0.896, 0.513, 0.630)
Mo (0.027, 0.846, 0.365)
Mo (0.028, 0.337, 0.036)
Mo (0.227, 0.823, 0.634)
Mo (0.366, 0.645, 0.965)
Mo (0.379, 0.197, 0.363)
Mo (0.416, 0.828, 0.363)
Mo (0.584, 0.172, 0.637)
Mo (0.621, 0.803, 0.637)
Mo (0.634, 0.355, 0.035)
Mo (0.773, 0.177, 0.366)
Mo (0.972, 0.663, 0.964)
Mo (0.973, 0.154, 0.635)
O (0.019, 0.792, 0.209)
O (0.064, 0.422, 0.195)
O (0.084, 0.645, 0.597)
O (0.087, 0.963, 0.582)
O (0.111, 0.306, 0.619)
O (0.137, 0.172, 0.998)
O (0.152, 0.501, 0.992)
O (0.189, 0.785, 0.994)
O (0.214, 0.736, 0.408)
O (0.241, 0.919, 0.789)
O (0.259, 0.010, 0.389)
O (0.267, 0.361, 0.414)
O (0.341, 0.122, 0.206)
O (0.345, 0.562, 0.807)
O (0.394, 0.736, 0.207)
O (0.403, 0.688, 0.616)
O (0.439, 0.967, 0.601)
O (0.453, 0.282, 0.581)
O (0.493, 0.176, 0.996)
O (0.500, 0.500, 0.000)
O (0.507, 0.824, 0.004)
O (0.547, 0.718, 0.419)
O (0.561, 0.033, 0.399)
O (0.597, 0.312, 0.384)
O (0.606, 0.264, 0.793)
O (0.655, 0.438, 0.193)
O (0.659, 0.878, 0.794)
O (0.733, 0.639, 0.586)
O (0.741, 0.990, 0.611)
O (0.759, 0.081, 0.211)
O (0.786, 0.264, 0.592)
>>>

We startedUSA Mexico Wall off with a press conference in the parking lot then walked a trail to the beach. We sang songs. We chanted. We avoided puddles from the recent rain. We saw old friends and made new ones. We learned about each other’s faiths and the values we shared. We laughed a bit at the ridiculousness of the 5 helicopters flying overhead; the drones that flew by; and the folks on hilltops with binoculars and telescopic lens pointed at this group of religious folks wearing stoles, scarves, clergy collars, kippa, hijab and lots of sunscreen.

Once we reached the beach, we walked the distance from the trailhead to the border in silence; a kind of prayer we all practice. When we were near the border, some of us held back and a trained group of 30-40 folks walked into the fifty feet near the wall that is considered off limits by the US government. When asked to move these pastors, rabbis, imams, monks, sisters and other religious folks politely refused as an act of protest and – to the cheers songs and encouragement coming from both sides of the border – they were arrested.

This sacrifice and protest was important and beautiful. What our presence demonstrated was important, too. On the northern side of the border were people some think never get along, getting along and working together. We demonstrated that you don’t have to believe the same things to value the same things. We learned the power in each other’s songs and presence.

We also demonstrated something else that was important.  We were together in that space with people just south of the border. We could see each other through the fence. We could hear each other’s cheers, singing and shouted greetings. We were north and south of a border created by money, politics and blood.

But we were on the same side.

Mike DentonThe Rev. Mike Denton and his family live in Seattle. He serves as the Conference Minister of the Pacific Northwest Conference of The United Church of Christ.